Engagement Drivers EdgeDotGrow - EMPLOYEE LIFECYCLE
Engagement Drivers EdgeDotGrow - EMPLOYEE LIFECYCLE
Engagement Drivers EdgeDotGrow - EMPLOYEE LIFECYCLE
• We will always listen to employees’ ideas, • Hold ourselves and each other as a leadership team to a higher standard of
concerns, and problems with an open mind. behavior. The way we talk, the way we behave, and the way we deal when we are
angry and disappointed all need to embody the EdgeDotGrow values.
• We always give the benefit of the doubt and
not make decisions based on assumptions. • Have one individual check-in every quarter with every employee to discuss their
performance and growth.
• We treat every employee with the same
respect we expect them to treat us with. • Not shy away from difficult conversations and feedback, but instead, use them as
opportunities to contribute toward employee growth.
• Make the difficult decisions and be open and truthful with employees regarding
the decisions we make. If we feel we need to hide the reasons we do things, we
are failing as a leadership team.
To find out how well I am living this promise as a leader, I will also seek feedback every
quarter to understand how I can develop myself as a leader.
Employee Voice and Feedback
Low score
This lever refers to the opportunity that employees have that he gets more authentic and relevant feedback on
to provide input and for their voices to be heard about how things are going in his call center during those
important company matters, especially when these conversations than from what any employee survey could
decisions will impact them. This sounds simple enough, ever show.
but it requires a lot of maturity from senior leaders to
be open to feedback and to engage authentically with → Lindani implements an Ask the Founder initiative
employees. where employees can anonymously submit questions or
suggestions to Jamie or Chloe. On a quarterly basis, they
A great example of this is a CEO of a small insurance respond to any information received from this initiative,
company that holds quarterly Fireside Conversations while also trying to help employees understand that they
with groups of employees. These are informal discussions can always ask questions without having to be afraid of
on how they are experiencing the workplace and any potential consequences.
feedback that they think would be useful for him to know.
During the year, he rotates the participants of this meeting
so that in 12 months, everyone would have attended at
least two of these sessions with him. He often mentions
Personal Development
High score
The personal development lever encompasses the → Lindani wants to keep the momentum going with regard to
opportunities provided to employees to grow and this driver, and she establishes a quarterly development
develop. It’s important to understand that growth or discussion process and training goals for the year. She also
development and training are not always the same thing. negotiates learning licenses with a provider to ensure that
everyone, everywhere, has access to learning, regardless of
Misplaced calculated crystals
-- begin --
Record 1
NbGa4Ir5 | PBE | optimized geometry

POSCAR file:
```
NbGa4Ir5
1.0
2.973 0.000 0.000
0.000 2.973 0.000
0.000 0.000 16.553
Nb Ga Ir
1 4 5
Cartesian
0.000 0.000 0.000
0.000 0.000 3.474
0.000 0.000 6.677
0.000 0.000 9.877
0.000 0.000 13.080
1.487 1.487 1.932
1.487 1.487 5.098
1.487 1.487 8.277
1.487 1.487 11.455
1.487 1.487 14.622
```

Results
Total DFT energy (no corrections)   -7.1162 eV per atom
Magnetization   0.00 μB/cell
Space-group type   No. 123
Calculated volume   146.3 Å³/cell

---

Record 2
NbGaIr | PBE | optimized geometry

POSCAR file:
```
NbGaIr
1.0
3.931 0.000 0.000
0.000 3.931 0.000
0.000 0.000 12.918
Nb Ga Ir
4 4 4
Cartesian
0.000 0.000 2.025
0.000 0.000 10.893
1.966 1.966 4.434
1.966 1.966 8.484
0.000 0.000 4.729
0.000 0.000 8.189
1.966 1.966 1.730
1.966 1.966 11.188
0.000 1.966 0.000
0.000 1.966 6.459
1.966 0.000 0.000
1.966 0.000 6.459
```

Results
Total DFT energy (no corrections)   -7.6318 eV per atom
Magnetization   0.00 μB/cell
Space-group type   No. 139
Calculated volume   199.6 Å³/cell

---

Record 3
NbGaIr | PBE | optimized geometry

POSCAR file:
```
NbGaIr
1.0
6.056 0.000 0.000
0.000 6.056 0.000
0.000 0.000 6.056
Nb Ga Ir
4 4 4
Cartesian
0.000 0.000 0.000
0.000 3.028 3.028
3.028 0.000 3.028
3.028 3.028 0.000
0.000 0.000 3.028
0.000 3.028 0.000
3.028 0.000 0.000
3.028 3.028 3.028
1.514 1.514 4.542
1.514 4.542 1.514
4.542 1.514 1.514
4.542 4.542 4.542
```

Results
Total DFT energy (no corrections)   -7.7295 eV per atom
Magnetization   0.00 μB/cell
Space-group type   No. 216
Calculated volume   222.1 Å³/cell

---

Record 4
NbGa2Ir | PBE | optimized geometry

POSCAR file:
```
NbGa2Ir
1.0
2.996 0.000 0.000
0.000 2.996 0.000
0.000 0.000 6.907
Nb Ga Ir
1 2 1
Cartesian
0.000 0.000 0.000
1.498 1.498 1.887
1.498 1.498 5.020
0.000 0.000 3.454
```

Results
Total DFT energy (no corrections)   -6.5804 eV per atom
Magnetization   0.00 μB/cell
Space-group type   No. 123
Calculated volume   62.0 Å³/cell

---

Record 5
Nb3GaIr | PBE | optimized geometry

POSCAR file:
```
Nb3GaIr
1.0
4.864 0.000 0.000
0.000 4.864 0.000
0.000 0.000 4.864
Nb Ga Ir
3 1 1
Cartesian
0.000 0.000 2.432
0.000 2.432 0.000
2.432 0.000 0.000
2.432 2.432 2.432
0.000 0.000 0.000
```

Results
Magnetization   0.00 μB/cell
E above lowest polymorph   0.0000 eV/atom
Space-group type   No. 221
Calculated volume   115.1 Å³/cell

---

Record 6
NbGa2Ir | PBE | optimized geometry

POSCAR file:
```
NbGa2Ir
1.0
4.020 0.000 0.000
0.000 4.020 0.000
0.000 0.000 3.883
Nb Ga Ir
1 2 1
Cartesian
0.000 0.000 0.000
0.000 2.010 1.941
2.010 0.000 1.941
2.010 2.010 0.000
```

Results
Total DFT energy (no corrections)   -6.5359 eV per atom
Magnetization   0.00 μB/cell
Space-group type   No. 123
Calculated volume   62.7 Å³/cell

---

Record 7
NbGa2Ir | PBE | optimized geometry

POSCAR file:
```
NbGa2Ir
1.0
2.868 0.000 0.000
-1.434 2.483 0.000
0.000 0.000 28.865
Nb Ga Ir
3 6 3
Cartesian
0.000 0.000 0.000
0.000 1.656 19.243
1.434 0.828 9.622
0.000 0.000 2.746
0.000 0.000 26.119
-- stop --
This lever refers to creating an environment where their role. The internal vacancy process is also made visible,
employees have access to opportunities to grow, for and she shares success stories where internal employees
example, through learning new skills, on-the-job coaching, managed to grow into new roles and positions. This helps
job rotation, or formal training. Organizations that do this others see the opportunities that exist at EdgeDotGrow.
right can create a culture where people see learning as
part of their responsibilities and always look for
opportunities to better themselves. The most well-known
method of doing this is through a formalized development
process, but you can also consider more informal
Team Relations
Mid-range score
Trusting relationships between team members are just creating a strong team culture. This includes team-building
as important as those with managers to ensure a highly days, regular connection sessions, and a personality and
engaged environment. In terms of collaboration, trust is strengths workshop where team members get to know
linked to having confidence in the competence and skills each other, their preferred working styles, and how best
of other team members and the belief that all team to collaborate.
members are pulling their weight. Very often, some of your
star employees can become disengaged when they think
that they are carrying the load of others and that the work
is not evenly distributed.
The last lever encompasses ensuring a good fit between your never done before; however, you have to make sure that they
skills, abilities, experience, and knowledge and the job that do not feel inadequate or that they are being set up for failure.
# 1
Below is PrGd2Mg3InGa2 after structural relaxation, with properties calculated at the PBE level.

The structure in extended XYZ format:
```
9
Lattice="4.609 0.000 0.000 0.000 6.473 3.702 0.000 -6.473 3.702" Properties=species:S:1:pos:R:3 pbc="T T T"
Pr 0.000 0.000 0.000
Gd 0.000 -2.820 2.560
Gd 0.000 2.820 2.560
Mg 2.305 0.000 2.332
Mg 2.305 -1.620 5.084
Mg 2.305 1.620 5.084
In 0.000 0.000 4.134
Ga 2.305 -4.280 4.172
Ga 2.305 4.280 4.172
```

Output
space-group type = Amm2
final energy = -31.73 eV for the cell shown

---

# 2
Below is Tb2GdMg3InGa2 after structural relaxation, with properties calculated at the PBE level.

The structure in extended XYZ format:
```
9
Lattice="4.568 0.000 0.000 0.000 6.375 3.674 0.000 -6.375 3.674" Properties=species:S:1:pos:R:3 pbc="T T T"
Tb 0.000 -3.589 3.674
Tb 0.000 3.589 3.674
Gd 0.000 0.000 4.817
Mg 2.284 -1.593 2.522
Mg 2.284 1.593 2.522
Mg 2.284 0.000 7.119
In 0.000 0.000 1.599
Ga 2.284 -2.130 5.280
Ga 2.284 2.130 5.280
```

Output
space-group type = Amm2
final energy = -31.57 eV for the cell shown

---

# 3
Below is Gd2InGaPt4 after structural relaxation, with properties calculated at the PBE level.

The structure in extended XYZ format:
```
8
Lattice="4.500 0.000 0.000 -2.250 3.898 0.000 0.000 0.000 9.153" Properties=species:S:1:pos:R:3 pbc="T T T"
Gd 0.000 2.598 2.331
Gd 2.250 1.299 6.822
In 0.000 0.000 0.000
Ga 0.000 0.000 4.576
Pt 0.000 2.598 5.334
Pt 0.000 2.598 8.289
Pt 2.250 1.299 0.863
Pt 2.250 1.299 3.819
```

Output
space-group type = P-3m1
final energy = -47.22 eV for the cell shown

---

# 4
Below is Gd2Zn2InGa after structural relaxation, with properties calculated at the PBE level.

The structure in extended XYZ format:
```
6
Lattice="4.551 0.000 0.000 -2.275 3.941 0.000 0.000 0.000 7.314" Properties=species:S:1:pos:R:3 pbc="T T T"
Gd 0.000 0.000 0.000
Gd 0.000 0.000 3.553
Zn 0.000 2.627 2.053
Zn 2.275 1.314 5.812
In 0.000 2.627 5.239
Ga 2.275 1.314 1.542
```

Output
space-group type = P3m1
final energy = -20.72 eV for the cell shown

---

# 5
Below is Gd2Ga8Ir after structural relaxation, with properties calculated at the PBE level.

The structure in extended XYZ format:
```
11
Lattice="4.325 0.000 0.000 0.000 4.325 0.000 0.000 0.000 11.200" Properties=species:S:1:pos:R:3 pbc="T T T"
Gd 0.000 0.000 2.159
Gd 0.000 0.000 9.041
Ga 0.000 2.162 0.000
Ga 0.000 2.162 4.234
Ga 0.000 2.162 6.966
Ga 2.162 0.000 0.000
Ga 2.162 0.000 4.234
Ga 2.162 0.000 6.966
Ga 2.162 2.162 2.159
Ga 2.162 2.162 9.041
Ir 0.000 0.000 5.600
```

Output
space-group type = P4/mmm
final energy = -48.49 eV for the cell shown

---

# 6
Below is GdGa2Ir2 after structural relaxation, with properties calculated at the PBE level.

The structure in extended XYZ format:
```
10
Lattice="4.237 0.000 0.000 0.000 4.237 0.000 0.000 0.000 10.089" Properties=species:S:1:pos:R:3 pbc="T T T"
Gd 0.000 0.000 0.000
Gd 2.118 2.118 5.045
Ga 0.000 0.000 3.804
Ga 0.000 0.000 6.285
Ga 2.118 2.118 1.241
Ga 2.118 2.118 8.848
Ir 0.000 2.118 2.522
you do. This does not mean you should not stretch your
people, but rather that you should always equip them to → Lindani addresses this lever by creating clarity on what skills
execute what you expect of them. As much as setting are required to be successful in different roles. Instead of
expectations is a crucial consideration during the recruitment writing long and complicated job descriptions, she requires that
process, we have to acknowledge that the environment each manager contributes toward a one-page success profile
changes, and as people take on new responsibilities and that is reviewed every year to make sure that role requirements
challenges, they need to be appropriately equipped. For are kept up-to-date. Managers also use this as a basis to
example, when implementing a new technology system, are discuss employee performance; it also helps identify where
you sure that your helpdesk support team has been trained to employees need to be equipped with new skills in the role. She
deal with queries and has received up-front training as super then asks employees who are in the roles to contribute toward
users on the system? this as part of the annual review process and before a new
position is created. These success profiles are visible to all
This extends deeper when you consider how employees move employees, and they can use them as a basis for planning their
across the organization into new roles. There is nothing wrong careers.
with asking an employee to focus on tasks that they have